[To do]
Could you start at the top of the contents underneath and give back each line, ending with the one that has "-5.1511 -0.001"?

[Material]
+++
[1]
Formula: H36O18
Source: OMol25
Level of theory: wB97M-V/def2-TZVPD

```
54
Properties=species:S:1:pos:R:3:lowdin_charge:R:1
O -4.3837 2.0343 1.0547 -0.032
H -4.2961 2.7292 1.7072 0.032
H -5.0203 2.3743 0.4260 0.059
O 3.6600 3.7926 -0.8547 -0.046
H 4.1488 4.4037 -1.4059 0.043
H 3.2030 3.2236 -1.4741 -0.003
O -2.6326 4.5821 1.5708 -0.042
H -3.4531 4.8439 1.9886 0.028
H -2.0316 4.4258 2.2991 0.042
O 0.7222 -3.4434 -1.1282 -0.018
H 1.4447 -3.8422 -1.6132 0.077
H 0.5479 -4.0540 -0.4120 0.043
O -2.3654 0.2163 1.6966 -0.045
H -3.0645 0.8483 1.5292 -0.002
H -1.7663 0.3197 0.9573 -0.008
O 3.7202 1.5735 -2.7960 -0.034
H 3.7130 1.5696 -3.7531 0.052
H 4.6350 1.7326 -2.5635 0.054
O -0.4531 0.5335 -0.2125 -0.055
H 0.0357 -0.0575 -0.7852 -0.006
H 0.2210 1.0146 0.2674 0.051
O 0.9497 -0.8975 -1.9296 -0.031
H 0.7670 -1.7123 -1.4617 0.007
H 1.7730 -1.0638 -2.3886 0.062
O -2.6184 -0.1074 -1.5537 -0.033
H -3.3097 0.2562 -1.0004 0.052
H -1.8540 0.4398 -1.3733 0.019
O -1.8462 -3.6182 0.2321 -0.024
H -2.7606 -3.3493 0.1436 0.072
H -1.4004 -3.1987 -0.5037 0.034
O 3.1172 -1.4820 1.4400 -0.055
H 3.1610 -0.6692 0.9363 -0.010
H 2.2408 -1.4788 1.8249 0.008
O -2.8300 -1.9436 3.1758 -0.064
H -2.5225 -2.6239 2.5768 -0.010
H -2.6873 -1.1242 2.7019 -0.039
O -2.5660 -1.1634 -3.9865 -0.069
H -2.3102 -0.5239 -4.6511 0.014
H -2.5660 -0.6701 -3.1662 -0.046
O 1.1654 0.0051 -5.0488 -0.042
H 0.2439 0.1849 -5.2354 0.028
H 1.1675 -0.3318 -4.1529 -0.009
O 0.0315 -3.5147 2.2019 -0.028
H -0.6740 -3.3646 1.5726 -0.005
H 0.6065 -4.1474 1.7713 0.060
O 2.4105 3.4612 2.8399 -0.049
H 2.6052 2.5501 3.0594 0.032
H 2.9348 3.9737 3.4552 0.030
O 1.2411 -2.3978 4.1099 -0.072
H 0.7543 -2.2421 4.9192 0.028
H 0.5865 -2.7318 3.4965 -0.052
O 2.3561 1.3243 0.0918 -0.029
H 2.4839 1.1644 -0.8432 0.011
H 2.7643 2.1760 0.2477 0.019
```

Summary:
E_tot: -1375.90506 hartree
LUMO: -0.14 eV
ΔE to the lowest compared entry with this formula, charge and spin: 214.92 kJ/mol
Orbital gap: 9.91 eV
Total charge: 0
E_HOMO: -10.042 eV

***

[2]
Formula: H36O18
Source: OMol25
Level of theory: wB97M-V/def2-TZVPD

```
54
Properties=species:S:1:pos:R:3:mulliken_spin:R:1
O 0.1964 -1.0651 -2.0646 0.001
H 0.5685 -0.8119 -2.8912 0.000
H 0.9670 -1.0229 -1.4392 0.001
O -0.1817 1.1729 1.9044 0.000
H 0.6517 1.5253 1.5185 0.000
H -0.1618 0.2623 1.6935 0.000
O 1.5172 2.4416 -3.5072 0.092
H 0.8152 2.6096 -2.9175 -0.006
H 2.5090 2.6087 -3.2422 -0.013
O 3.7436 2.1531 -1.9047 0.305
H 3.6032 1.1334 -2.0487 -0.024
H 4.6413 2.4007 -2.3597 -0.009
O -2.6528 2.2019 -1.3693 0.001
H -3.0081 2.0779 -0.5210 0.000
H -2.6568 1.3998 -1.6949 0.000
O -2.7607 -0.9391 -1.7104 0.000
H -2.6954 -1.0929 -2.6536 0.000
H -1.9246 -1.1434 -1.2986 0.000
O 2.5459 -1.2317 -0.2503 0.044
H 2.5654 -0.4988 0.3138 -0.002
H 1.5978 -1.5277 -0.0834 -0.004
O -2.6361 -1.2821 0.6585 0.000
H -3.5829 -1.4184 0.4276 0.000
H -2.7516 -0.3431 1.0016 0.000
O 0.9414 -0.7689 3.9179 0.000
H 0.2389 -0.1565 3.6069 0.000
H 0.4740 -0.7731 4.7601 0.000
O -0.1268 1.9514 -1.6280 0.002
H -1.0604 2.2897 -1.3495 0.000
H -0.1691 0.9529 -1.6220 0.000
O 3.4852 -0.2537 -2.5277 0.591
H 2.7107 -0.0079 -3.2164 -0.019
H 3.2605 -0.9043 -1.8102 -0.016
O 1.3978 -0.0465 -4.2123 0.038
H 1.5063 -0.1107 -5.1511 -0.001
H 1.4866 0.9927 -4.0114 -0.002
O -2.6355 1.2288 1.0454 0.000
H -1.7662 1.4093 1.2226 0.000
H -3.1650 1.6209 1.8368 0.000
O -2.6538 -2.5270 3.0364 0.000
H -1.7786 -2.8809 2.9975 0.000
H -2.8090 -2.1053 2.1619 0.000
O 0.0337 -2.7573 2.6700 0.000
H 0.5687 -1.9678 3.1881 0.000
H 0.5475 -3.4906 2.4981 0.000
O -0.0095 -1.1332 0.7288 0.001
H -0.8077 -1.3275 0.2792 0.000
H 0.0182 -1.8550 1.5227 0.000
O 1.7511 1.9487 0.1790 0.017
H 2.4545 2.1982 -0.3635 0.002
H 0.9912 2.0755 -0.3378 -0.002
O -1.6320 -0.7924 4.9756 0.000
H -2.0644 -1.4009 4.2582 0.000
H -2.0982 -1.0188 5.7829 0.000
```

Summary:
E_tot: -1375.50899 hartree
LUMO (spin up / spin down): -3.25 / -10.69 eV
ΔE to the lowest compared entry with this formula, charge and spin: 0.00 kJ/mol
+++

[Reply]
[1]
Formula: H36O18
Source: OMol25
Level of theory: wB97M-V/def2-TZVPD

```
54
Properties=species:S:1:pos:R:3:lowdin_charge:R:1
O -4.3837 2.0343 1.0547 -0.032
H -4.2961 2.7292 1.7072 0.032
H -5.0203 2.3743 0.4260 0.059
O 3.6600 3.7926 -0.8547 -0.046
H 4.1488 4.4037 -1.4059 0.043
H 3.2030 3.2236 -1.4741 -0.003
O -2.6326 4.5821 1.5708 -0.042
H -3.4531 4.8439 1.9886 0.028
H -2.0316 4.4258 2.2991 0.042
O 0.7222 -3.4434 -1.1282 -0.018
H 1.4447 -3.8422 -1.6132 0.077
H 0.5479 -4.0540 -0.4120 0.043
O -2.3654 0.2163 1.6966 -0.045
H -3.0645 0.8483 1.5292 -0.002
H -1.7663 0.3197 0.9573 -0.008
O 3.7202 1.5735 -2.7960 -0.034
H 3.7130 1.5696 -3.7531 0.052
H 4.6350 1.7326 -2.5635 0.054
O -0.4531 0.5335 -0.2125 -0.055
H 0.0357 -0.0575 -0.7852 -0.006
H 0.2210 1.0146 0.2674 0.051
O 0.9497 -0.8975 -1.9296 -0.031
H 0.7670 -1.7123 -1.4617 0.007
H 1.7730 -1.0638 -2.3886 0.062
O -2.6184 -0.1074 -1.5537 -0.033
H -3.3097 0.2562 -1.0004 0.052
H -1.8540 0.4398 -1.3733 0.019
O -1.8462 -3.6182 0.2321 -0.024
H -2.7606 -3.3493 0.1436 0.072
H -1.4004 -3.1987 -0.5037 0.034
O 3.1172 -1.4820 1.4400 -0.055
H 3.1610 -0.6692 0.9363 -0.010
H 2.2408 -1.4788 1.8249 0.008
O -2.8300 -1.9436 3.1758 -0.064
H -2.5225 -2.6239 2.5768 -0.010
H -2.6873 -1.1242 2.7019 -0.039
O -2.5660 -1.1634 -3.9865 -0.069
H -2.3102 -0.5239 -4.6511 0.014
H -2.5660 -0.6701 -3.1662 -0.046
O 1.1654 0.0051 -5.0488 -0.042
H 0.2439 0.1849 -5.2354 0.028
H 1.1675 -0.3318 -4.1529 -0.009
O 0.0315 -3.5147 2.2019 -0.028
H -0.6740 -3.3646 1.5726 -0.005
H 0.6065 -4.1474 1.7713 0.060
O 2.4105 3.4612 2.8399 -0.049
H 2.6052 2.5501 3.0594 0.032
H 2.9348 3.9737 3.4552 0.030
O 1.2411 -2.3978 4.1099 -0.072
H 0.7543 -2.2421 4.9192 0.028
H 0.5865 -2.7318 3.4965 -0.052
O 2.3561 1.3243 0.0918 -0.029
H 2.4839 1.1644 -0.8432 0.011
H 2.7643 2.1760 0.2477 0.019
```

Summary:
E_tot: -1375.90506 hartree
LUMO: -0.14 eV
ΔE to the lowest compared entry with this formula, charge and spin: 214.92 kJ/mol
Orbital gap: 9.91 eV
Total charge: 0
E_HOMO: -10.042 eV

***

[2]
Formula: H36O18
Source: OMol25
Level of theory: wB97M-V/def2-TZVPD

```
54
Properties=species:S:1:pos:R:3:mulliken_spin:R:1
O 0.1964 -1.0651 -2.0646 0.001
H 0.5685 -0.8119 -2.8912 0.000
H 0.9670 -1.0229 -1.4392 0.001
O -0.1817 1.1729 1.9044 0.000
H 0.6517 1.5253 1.5185 0.000
H -0.1618 0.2623 1.6935 0.000
O 1.5172 2.4416 -3.5072 0.092
H 0.8152 2.6096 -2.9175 -0.006
H 2.5090 2.6087 -3.2422 -0.013
O 3.7436 2.1531 -1.9047 0.305
H 3.6032 1.1334 -2.0487 -0.024
H 4.6413 2.4007 -2.3597 -0.009
O -2.6528 2.2019 -1.3693 0.001
H -3.0081 2.0779 -0.5210 0.000
H -2.6568 1.3998 -1.6949 0.000
O -2.7607 -0.9391 -1.7104 0.000
H -2.6954 -1.0929 -2.6536 0.000
H -1.9246 -1.1434 -1.2986 0.000
O 2.5459 -1.2317 -0.2503 0.044
H 2.5654 -0.4988 0.3138 -0.002
H 1.5978 -1.5277 -0.0834 -0.004
O -2.6361 -1.2821 0.6585 0.000
H -3.5829 -1.4184 0.4276 0.000
H -2.7516 -0.3431 1.0016 0.000
O 0.9414 -0.7689 3.9179 0.000
H 0.2389 -0.1565 3.6069 0.000
H 0.4740 -0.7731 4.7601 0.000
O -0.1268 1.9514 -1.6280 0.002
H -1.0604 2.2897 -1.3495 0.000
H -0.1691 0.9529 -1.6220 0.000
O 3.4852 -0.2537 -2.5277 0.591
H 2.7107 -0.0079 -3.2164 -0.019
H 3.2605 -0.9043 -1.8102 -0.016
O 1.3978 -0.0465 -4.2123 0.038
H 1.5063 -0.1107 -5.1511 -0.001